........
[1]
First-principles (PBE-GGA) data for an optimized crystal structure of TcHgOs2, as listed in Alexandria.

Values from the calculation:
The value obtained for the density of states at the Fermi level is 5.52 states/eV/cell. The crystal system is orthorhombic. For the energy of formation, the calculation gives 935 meV per atom. The calculation puts the total magnetization at 0.00 Bohr magnetons per cell.

Structure (POSCAR):
```
TcHgOs2
1.0
2.842 0.000 0.000
0.000 4.726 0.000
0.000 0.000 4.750
Tc Hg Os
1 1 2
direct
0.000 0.000 0.000 Tc
0.500 0.000 0.500 Hg
0.000 0.500 0.500 Os
0.500 0.500 0.000 Os
```


[2]
First-principles (PBE-GGA) data for an optimized crystal structure of K2LaBr, as listed in Alexandria.

Values from the calculation:
The value obtained for the density of states at the Fermi level is 12.14 states/eV/cell. The crystal system is tetragonal. For the formation energy without anion corrections, the calculation gives -154 meV/atom. The calculation puts the total magnetization at 0.00 Bohr magnetons per cell.

Structure (POSCAR):
```
K2LaBr
1.0
4.737 0.000 0.000
0.000 4.737 0.000
0.000 0.000 14.483
K La Br
4 2 2
direct
0.000 0.500 0.250 K
0.000 0.500 0.750 K
0.500 0.000 0.250 K
0.500 0.000 0.750 K
0.000 0.000 0.000 La
0.500 0.500 0.500 La
0.000 0.000 0.500 Br
0.500 0.500 0.000 Br
```


[3]
First-principles (PBE-GGA) data for an optimized crystal structure of Ho4Pt3Rh, as listed in Alexandria.

Values from the calculation:
The value obtained for the density of states at the Fermi level is 4.39 states/eV/cell. The crystal system is orthorhombic. For the energy of formation, the calculation gives -1190 meV per atom. The calculation puts the total magnetization at 0.00 Bohr magnetons per cell.

Structure (POSCAR):
```
Ho4Pt3Rh
1.0
3.744 0.000 0.000
0.000 4.408 0.000
0.000 0.000 10.527
Ho Pt Rh
4 3 1
direct
0.000 0.000 0.000 Ho
0.000 0.500 0.275 Ho
0.500 0.000 0.493 Ho
0.500 0.500 0.775 Ho
0.000 0.000 0.724 Pt
0.000 0.500 0.549 Pt
0.500 0.500 0.051 Pt
0.500 0.000 0.226 Rh
```


[4]
First-principles (PBE-GGA) data for an optimized crystal structure of Li2TcW, as listed in Alexandria.

Values from the calculation:
The value obtained for the density of states at the Fermi level is 12.97 states/eV/cell. The crystal system is tetragonal. For the energy of formation, the calculation gives 1015 meV per atom. The calculation puts the total magnetization at 0.00 Bohr magnetons per cell.

Structure (POSCAR):
```
Li2TcW
1.0
6.859 0.000 0.000
0.000 6.859 0.000
0.000 0.000 4.861
Li Tc W
8 4 4
direct
0.239 0.750 0.125 Li
0.250 0.239 0.875 Li
0.250 0.261 0.375 Li
0.261 0.750 0.625 Li
0.739 0.250 0.625 Li
0.750 0.739 0.375 Li
0.750 0.761 0.875 Li
0.761 0.250 0.125 Li
0.000 0.000 0.000 Tc
0.000 0.500 0.250 Tc
0.500 0.000 0.750 Tc
0.500 0.500 0.500 Tc
0.000 0.000 0.500 W
0.000 0.500 0.750 W
0.500 0.000 0.250 W
0.500 0.500 0.000 W
```


> total magnetization of number 4 (Li2TcW)?

0.00 Bohr magnetons per cell


> What is the formula in the third record?

Ho4Pt3Rh

=====

Here is ZrCuB3 at its PBEsol-relaxed geometry from Alexandria. Energies are from meta-GGA SCAN.

abc: 4.301 4.301 4.301
angles: 90.00 90.00 90.00
Element x y z (fractional)
B 0.000 0.500 0.000
B 0.000 0.000 0.500
B 0.500 0.000 0.000
Cu 0.500 0.500 0.500
Zr 0.000 0.000 0.000

Here is Ca2Sn2Bi at its PBEsol-relaxed geometry from Alexandria. Energies are from meta-GGA SCAN.

abc: 4.531 8.035 8.035
angles: 90.00 90.00 90.00
Element x y z (fractional)
Ca 0.500 0.174 0.674
Ca 0.500 0.674 0.826
Ca 0.500 0.826 0.326
Ca 0.500 0.326 0.174
Bi 0.000 0.000 0.000
Bi 0.000 0.500 0.500
Sn 0.000 0.375 0.875
Sn 0.000 0.875 0.625
Sn 0.000 0.625 0.125
Sn 0.000 0.125 0.375

Here is Si2SbRh at its PBEsol-relaxed geometry from Alexandria. Energies are from meta-GGA SCAN.

abc: 4.547 4.547 4.547
angles: 60.00 60.00 60.00
Element x y z (fractional)
Rh 0.000 0.000 0.000
Sb 0.500 0.500 0.500
Si 0.250 0.250 0.250
Si 0.750 0.750 0.750
........

Now say how many lines of the block further above hold the word "per", as a bare number.

5